Comments on a cultural reality between past and future.

This blog describes Metatime in the Posthuman experience, drawn from Sir Isaac Newton's secret work on the future end of times, a tract in which he described Histories of Things to Come. His hidden papers on the occult were auctioned to two private buyers in 1936 at Sotheby's, but were not available for public research until the 1990s.

Saturday, February 25, 2012

Human Consciousness: The New Survivalist Adventure

Awake. Image Source: NBC via Wiki.

This week, a highly anticipated series begins on American television, entitled Awake (thanks to -J.). The premise is that a man survives a car accident, after which his reality splits in two. He wakes up in one, red-hued reality, and his wife has also survived the car accident but his son has not. He goes to sleep at night, and wakes up in another, green-hued reality, in which his wife died in the accident and his son survived. In each reality, he has a psychiatrist and he works as a police detective solving crimes. Eventually, the details between the two realities begin to overlap. Since this divided virtual dreamscape is the only way the hero can keep his family alive, he does not want his psyche to recover. You can see the trailer for the program, which debuts on NBC on March 1, below the jump.

The Oldest Profession, Redux

Everyone knows that one of the big factors that drove the Internet's exponential explosion over the past 15 years was its less wholesome side.  Those who cruise the Web's seedier alleys often are watching slaves at work.  Unfree people engage in forced labour for the surfer's online pleasures.  This is one not-so-secret, hideous fact on which the Web is built: slaves are never further away from us than a couple of mouse clicks.  One Google search makes the global virtual world more decadent than ancient Rome.  This is another great Millennial disconnect between the hype about our reality - and our actual reality.  The Internet is supposedly the high tech bastion of the shiny, seamless, progressive, Singularity-ridden  future.  Even more ironically, the Web is home to hackers and Cyber freedom fighters who are fixated on the free sharing of information and oppose what they characterize as evil capitalist copyright enforcers. 

But down in its basements and not-so-secluded corners, the Internet has been a medium built by the slavery. One glance at today's virtual reality is that not much has changed over 2,500 years: when they defined the oldest profession, the Greeks classed the lowest stratum of slaves as pornai.

Contemporary slavery is now predicted to outstrip illegal drug trafficking.  This year, CNN is publishing articles to raise awareness that slavery is not a lost, purely historical phenomenon.  In fact, seemingly abolished slavery never disappeared at all.  It is integral to global manufacturing, especially performed by children, in the clothing industry, the production of chocolate, and many other foods and household goods, from women's underwear, to rugs, to designer running shoes.  In addition, the myth that life was cheap in the past, but now - after decades of politicking and progressive legislation - we are more humane, is not true.  When it comes to slavery, human life is cheaper than it was two hundred years ago.  A human being can now be bought for under USD $100; in 1809, a slave cost the equivalent of $40,000 in today's US dollars.  Life is cheap, and the Internet is free.

Someone pasted calculated crystals at this point >
+++
This entry pairs a crystal structure of Li5Fe2P2C2O14 with its computed powder X-ray diffraction pattern. Radiation: copper Kα. Structure: a cell relaxed with GGA+U.
No peak broadening, texture or thermal motion is included.

Structural model:
```
data_Li5Fe2P2C2O14
_cell_length_a 5.0470
_cell_length_b 6.4964
_cell_length_c 8.4346
_cell_angle_alpha 90.00
_cell_angle_beta 94.78
_cell_angle_gamma 90.00
_space_group_name_H-M_alt 'P 1 m 1'
_space_group_IT_number 6
_space_group_name_Hall 'P -2y'
loop_
_atom_site_label
_atom_site_fract_x
_atom_site_fract_y
_atom_site_fract_z
Li1 0.0000 0.0000 0.0000
Li2 0.4894 0.2354 0.8310
Li3 0.9862 0.2670 0.3495
Fe1 0.0247 0.5000 0.7535
Fe2 0.4477 0.0000 0.4271
P1 0.4988 0.5000 0.5076
P2 0.9495 0.0000 0.6751
C1 0.5374 0.0000 0.1268
C2 0.9506 0.5000 0.0437
O1 0.0490 0.0000 0.5081
O2 0.0584 0.1877 0.7778
O3 0.1860 0.5000 0.9907
O4 0.2941 0.0000 0.1634
O5 0.3970 0.5000 0.6798
O6 0.3986 0.3098 0.4151
O7 0.5973 0.0000 0.9804
O8 0.6410 0.0000 0.6642
O9 0.7280 0.0000 0.2409
O10 0.7541 0.5000 0.9270
O11 0.8135 0.5000 0.5374
O12 0.9075 0.5000 0.1889
```

Main lines, low angle first (5° ≤ 2θ ≤ 70°):
- 2θ = 10.52°, rel. 1000
- 2θ = 17.25°, rel. 346
- 2θ = 19.80°, rel. 323
- 2θ = 21.33°, rel. 459
- 2θ = 22.36°, rel. 203
- 2θ = 25.40°, rel. 238
- 2θ = 26.48°, rel. 381
- 2θ = 27.46°, rel. 914
- 2θ = 31.96°, rel. 231
- 2θ = 36.43°, rel. 245

---

This entry pairs a crystal structure of Li7Mn5O12 with its computed powder X-ray diffraction pattern. Radiation: copper Kα. Structure: a cell relaxed with GGA+U.
No peak broadening, texture or thermal motion is included.

Structural model:
```
data_Li7Mn5O12
_cell_length_a 2.9709
_cell_length_b 7.6951
_cell_length_c 9.9627
_cell_angle_alpha 101.12
_cell_angle_beta 93.44
_cell_angle_gamma 98.04
_space_group_name_H-M_alt 'P -1'
_space_group_IT_number 2
_space_group_name_Hall '-P 1'
loop_
_atom_site_label
_atom_site_fract_x
_atom_site_fract_y
_atom_site_fract_z
Li1 0.0000 0.0000 0.0000
Li2 0.0679 0.1596 0.7573
Li3 0.2535 0.5004 0.2540
Li4 0.4375 0.8503 0.7590
Mn1 0.1648 0.3324 0.4978
Mn2 0.3282 0.6766 0.0038
Mn3 0.5000 0.0000 0.5000
O1 0.0835 0.0915 0.3796
O2 0.1728 0.2678 0.1083
O3 0.1921 0.4158 0.8951
O4 0.2480 0.5726 0.6192
O5 0.4179 0.7584 0.3850
O6 0.4373 0.8957 0.1173
```

Main lines, low angle first (5° ≤ 2θ ≤ 70°):
- 2θ = 9.08°, rel. 123
- 2θ = 18.22°, rel. 1000
- 2θ = 34.42°, rel. 171
- 2θ = 36.12°, rel. 122
- 2θ = 36.58°, rel. 112
- 2θ = 41.16°, rel. 349
- 2θ = 44.14°, rel. 280
- 2θ = 44.40°, rel. 280
- 2θ = 62.17°, rel. 86
- 2θ = 64.85°, rel. 95

---

This entry pairs a crystal structure of LiCoPO4 with its computed powder X-ray diffraction pattern. Radiation: copper Kα. Structure: a cell relaxed with GGA+U.
No peak broadening, texture or thermal motion is included.

Structural model:
```
data_LiCoPO4
_cell_length_a 8.6387
_cell_length_b 5.1213
_cell_length_c 15.4588
_cell_angle_alpha 90.00
_cell_angle_beta 93.71
_cell_angle_gamma 90.00
_space_group_name_H-M_alt 'P 1 21/c 1'
+++

Friday, February 24, 2012

The Waters of Mayan Prophecy

300 days left.  Only National Geographic's Digital Nomad, Andrew Evans, could make the end of the world look like a sight for sore eyes. He is currently traveling throughout the ancient lands of the Maya to get to the bottom of their prophecies about 2012 (see my earlier posts on his journey, here and here). Today, he traveled through the Mayan provincial capital of Uxmal, where he pondered the Mayan politics of rain-making. Above, a zoomable photograph of Uxmal's House of the Magician, also known as the Pyramid of the Dwarf or the Pyramid of the Soothsayer, whose business was to appeal to the Mayan rain god, Chaac.  A deficit in rain over 150 years now appears to have caused the death of the Mayans' civilization.

Imagine their mounting desperation, building ever more sophisticated buildings, with pyramids that reached higher and higher, ever more obsessed with numbers, so that they could appeal to a mystical environment that grew increasingly deaf to their pleas.  Instead, the waters finally yielded foreign explorers and conquerors, who hailed an end that had already arrived for dominant Mayan society.

Interlude: The Ambient Tones of the Millennial Consciousness

Erik Satie (1866-1925).

Ambient music as a distinct genre in popular music dates from Brian Eno's work in the late 1970s.  Eno has cited the minimalist influence of La Monte Young (listen here), but according to xtimeline, Ambient music has its roots in the turn of another century and artistic movements such as Futurism:
Ambient music is a musical genre in which sound is more important than notes. It is generally identifiable as being broadly atmospheric and environmental in nature.

Ambient music evolved from early 20th century forms of "semi-audible music", from the impressionism of Erik Satie, through musique concrete and the minimalism of Terry Riley and Philip Glass, and Brian Eno's deliberate sub-audible approach.

Later developments found the dreamy non-linear elements of ambient music applied to some forms of rhythmic music presented in "chillout" rooms at raves and other dance events, but always with the primary feature that the music is intended to drift in and out of the listener's awareness while creating its effect on the listener's consciousness.
This type of music fits very well with the floating, ever-present now of constant Millennial change.  Ambient music fostered a family of sub-genres that now provide the background sound to the whole Technological Revolution, from club music, to meditation music, to mood music, to film and video game soundtracks. Some newer forms from the 90s and the 00s include (click on the links for samples): Organic Ambient; Nature-inspired Ambient; Dark Ambient; Ambient House; Ambient Industrial; Space Music; Isolationist Ambient; and Ambient Dub. Ambient music has also influenced a lot of Millennial music that would not fall neatly under that category, such as some of the videos below.

Cloning Our Way Back to the Deep Past

Image Source: Wiki via I09.

Woolly Mammoths have been extinct for at least four millennia (most Mammoth populations died 10,000 years ago, but a small pocket survived on an island in the Arctic Ocean until about 1,700 BCE). Several specimens of these great Ice Age elephant cousins are so well preserved in Arctic ice that there is a lot of speculation that they could be successfully cloned within five years.

Thursday, February 23, 2012

Malaria Studied in 20 Million Year Old Fly

Image Source: Parasites and Vectors.

From Twitter: "Whoa! 20 million year old fly in amber was carrying malaria, and sucking bat blood" (Hat tip: Bug Girl).  This fly, encased in amber, lived in the mid-Tertiary period, a violent time running from the extinction of the dinosaurs, to the beginning of mammals, to the onset of the beginning of the most recent Ice Age. This period featured one of the largest volcanic eruptions ever to occur on the planet (it took place in Colorado).  The Tertiary period was initially classified in the 18th century by Italian geologist Giovanni Arduino as the period of the Biblical Flood.  The tweet refers to an article at Parasites and Vectors, concerning research into the form of malaria carried by this fly.

Song of 165 Million Year Old Cricket Reproduced

A Bush Cricket, or Katydid. Image Source: Wiki.

Materials data, kept here for reference =
+++
Computed X-ray diffraction stick pattern of NaGaPb for Cu Kα X-rays, from a crystal structure in Alexandria, relaxed with GGA-PBE.
No peak broadening, texture or thermal motion is included.

Peak list (10 most intense, 2θ = 10–80°, in order of rising 2θ)
Position (°2θ)  I/Imax
11.77  369
13.42  367
16.70  322
17.60  338
31.68  746
32.19  1000
32.91  476
36.28  329
38.34  295
39.22  371

Cell and atoms:
```
NaGaPb
1.0
5.915 0.000 0.000
-1.507 7.180 0.000
-1.897 -3.225 7.516
Na Ga Pb
4 4 4
direct
0.000 0.000 0.000
0.084 0.396 0.858
0.579 0.534 0.677
0.731 0.620 0.183
0.217 0.457 0.294
0.284 0.790 0.224
0.450 0.821 0.966
0.646 0.916 0.540
0.089 0.718 0.606
0.130 0.105 0.459
0.523 0.163 0.848
0.630 0.213 0.296
```

***

Computed X-ray diffraction stick pattern of Na3Ga8Pd for Cu Kα X-rays, from a crystal structure in Alexandria, relaxed with GGA-PBE.
No peak broadening, texture or thermal motion is included.

Peak list (10 most intense, 2θ = 10–80°, in order of rising 2θ)
Position (°2θ)  I/Imax
10.10  211
19.46  562
37.62  422
38.08  1000
38.97  186
39.52  634
41.24  304
46.47  327
60.95  242
66.62  265

Cell and atoms:
```
Na3Ga8Pd
1.0
2.808 1.621 8.757
-2.808 1.621 8.757
0.000 -3.242 8.757
Na Ga Pd
3 8 1
direct
0.000 0.000 0.000
0.125 0.125 0.125
0.620 0.620 0.620
0.060 0.566 0.566
0.064 0.064 0.554
0.064 0.554 0.064
0.315 0.315 0.315
0.554 0.064 0.064
0.566 0.060 0.566
0.566 0.566 0.060
0.814 0.814 0.814
0.477 0.477 0.477
```

***

Computed X-ray diffraction stick pattern of NaGa4Pd for Cu Kα X-rays, from a crystal structure in Alexandria, relaxed with GGA-PBE.
No peak broadening, texture or thermal motion is included.

Peak list (10 most intense, 2θ = 10–80°, in order of rising 2θ)
Position (°2θ)  I/Imax
15.17  1000
31.30  229
33.05  320
36.23  419
38.31  465
39.78  506
41.88  364
43.75  436
45.74  186
46.59  216

Cell and atoms:
```
NaGa4Pd
1.0
0.000 4.696 5.839
4.377 0.000 5.839
4.377 4.696 0.000
Na Ga Pd
2 8 2
direct
0.000 0.000 0.500
0.500 0.500 0.000
0.030 0.306 0.694
0.194 0.522 0.806
0.306 0.030 0.970
0.478 0.806 0.522
0.522 0.194 0.478
0.694 0.970 0.030
0.806 0.478 0.194
0.970 0.694 0.306
0.250 0.250 0.250
0.750 0.750 0.750
```

* * * * *

Structure and calculated XRD peak list of CrSb2F8 (DFT lattice parameters and positions (GGA+U); a wavelength of 1.5418 Å).

Atomic structure:
```
22
Lattice="5.0284 -3.8444 0.0000 5.0284 3.8444 0.0000 -0.3319 0.0000 9.8920" Properties=species:S:1:pos:R:3 pbc="T T T"
Cr 4.7795 2.1903 7.4190
Cr 4.9454 -2.1903 2.4730
Sb 2.5959 0.1303 4.7717
Sb 2.4300 -0.1303 9.7177
Sb 7.2949 0.1303 0.1743
Sb 7.1289 -0.1303 5.1203
F 3.0641 2.3649 3.9826
F 1.9255 1.2030 1.0905
F 0.7961 0.2618 3.6845
F 0.6302 -0.2618 8.6305
F 4.1093 0.6694 6.2385
F 1.7596 -1.2030 6.0365
F 6.8267 2.3649 0.9634
F 5.4496 0.6694 8.5995
F 4.2752 -0.6694 1.2925
F 2.8981 -2.3649 8.9286
F 7.9653 1.2030 3.8555
F 5.6156 -0.6694 3.6535
F 9.0947 0.2618 1.2615
F 8.9287 -0.2618 6.2075
F 7.7993 -1.2030 8.8015
F 6.6608 -2.3649 5.9094
```
+++

Nature News reports that the fossilized remains of an extinct Jurassic bush cricket have enabled British researchers to reproduced the insect's song (Hat tip: Maria Popova):
The fossilized remains of long-extinct animals provide clear evidence of their size, stature and gait, but can we ever know what they sounded like? A reconstruction of the song sung by a fossilized katydid that lived 165 million years ago shows how it can be done. The results are published in the Proceedings of the National Academy of Sciences (PNAS).
Like other crickets, male katydids (also known as bush crickets) sing to females through a technique called stridulation, in which noise is generated by rubbing a thick, ridged vein (called a file) on one wing against a ‘scraper’ on another. The length of the file, and the speed with which it is dragged over the scraper, determines the frequency of the noise it generates. The fossil katydid in the new study, dubbed Archaboilus musicus and described in the PNAS paper for first time, is exceptionally well preserved for such an old specimen, allowing for detailed measurements of the sound-making file.

Russian Scientists Clone Ice Age Flower

Russian scientists regenerated this Sylene stenophylla plant from tissue of fossil fruit. Image Source: Institute of Cell Biophysics of the Russian Academy of Sciences; National News and Pictures via Daily Mail.

Several news outlets are carrying a story about a successful Russian cloning of a 30,000 year old plant, which bore fruit and seeds: "An Ice Age flower has come back to life. How exactly did that happen? Well, a team of Russian scientists discovered a burrow that contained fruit and seeds left in the Siberian permafrost by a squirrel that buried them about 30,000 years ago. Remnants of the Silene stenophylla blossom were found perfectly preserved, and in an experiment to extract the seeds, the scientists pioneered a new way ['micropropagation'] to resurrect the plant. For thousands of years, the flower was fully encased in ice, and no water was able to get to it. The storage chambers that the squirrels created were filled with hay and animal fur to protect their treasure. Stanislav Gubin, one scientist working with the discovery, called it a 'natural cryobank.' The blossom with its white flowers looks similar to its modern-day version, which also grows in the same region as its predecessor." (Thanks to -J.)

This outcome makes the cloned plant, "The most ancient, viable, multi-cellular, living organism on Earth," and it has researchers chattering about Beringia (the lost land bridge between Asia and North America) as being a great storehouse of ancient extinct organisms.

The successful experiment also has implications for space exploration: scientists are hoping that if extinct plants and animals trapped in our planet's permafrost can be brought back to life through cloning, then similar resurrections could be done on Mars.  They speculate that they could revive dead Martian lifeforms, which may be preserved in permanent ice on the Red Planet.

## Next to the entry, the page also holds records of crystals
'''
1.
Simulated PXRD pattern
Compound: Ca4MgCoAs4O20
Radiation: Cu Kα X-rays
Structure: a cell relaxed with PBE+U
Lines closer than 0.1° are merged.

Atomic structure:
Cell: 5.4990 6.2736 12.8661 Å, 86.39 86.47 67.75°
Element x y z (fractional)
Ca 0.2175 0.0632 0.3679
Ca 0.2479 0.9302 0.8742
Ca 0.7521 0.0698 0.1258
Ca 0.7825 0.9368 0.6321
Mg 0.5000 0.5000 0.5000
Co 0.0000 0.5000 0.0000
As 0.0749 0.2819 0.6218
As 0.4408 0.7061 0.1250
As 0.5592 0.2939 0.8750
As 0.9251 0.7181 0.3782
O 0.0161 0.6493 0.8816
O 0.0613 0.4526 0.3244
O 0.0778 0.0668 0.7109
O 0.1099 0.7463 0.4769
O 0.1527 0.7738 0.0592
O 0.3381 0.2728 0.9800
O 0.3879 0.2400 0.5703
O 0.4370 0.9198 0.2008
O 0.4553 0.5629 0.8182
O 0.4619 0.3025 0.3824
O 0.5381 0.6975 0.6176
O 0.5447 0.4371 0.1818
O 0.5630 0.0802 0.7992
O 0.6121 0.7600 0.4297
O 0.6619 0.7272 0.0200
O 0.8473 0.2262 0.9408
O 0.8901 0.2537 0.5231
O 0.9222 0.9332 0.2891
O 0.9387 0.5474 0.6756
O 0.9839 0.3507 0.1184

Largest 10 diffraction maxima, in order of falling intensity, 5 to 70 degrees two-theta:
2θ (°)	d/Å	intensity
30.74	2.908	100
27.81	3.208	84
17.04	5.203	47
26.68	3.341	44
31.46	2.843	43
32.71	2.738	43
26.79	3.327	34
51.00	1.791	28
28.90	3.089	27
33.28	2.692	27

2.
Simulated PXRD pattern
Compound: CaCoAs2O7
Radiation: Cu Kα X-rays
Structure: a cell relaxed with PBE+U
Lines closer than 0.1° are merged.

Atomic structure:
Cell: 7.4896 9.0813 9.5064 Å, 90.00 110.85 90.00°
Element x y z (fractional)
Ca 0.2414 0.0648 0.0638
Ca 0.2414 0.4352 0.5638
Ca 0.7586 0.5648 0.4362
Ca 0.7586 0.9352 0.9362
Co 0.3060 0.0531 0.6929
Co 0.3060 0.4469 0.1929
Co 0.6940 0.5531 0.8071
Co 0.6940 0.9469 0.3071
As 0.0814 0.7377 0.7697
As 0.0814 0.7623 0.2697
As 0.4853 0.7027 0.0472
As 0.4853 0.7973 0.5472
As 0.5147 0.2027 0.4528
As 0.5147 0.2973 0.9528
As 0.9186 0.2377 0.7303
As 0.9186 0.2623 0.2303
O 0.0701 0.6347 0.6172
O 0.0701 0.8653 0.1172
O 0.1281 0.2341 0.6977
O 0.1281 0.2659 0.1977
O 0.1640 0.5855 0.2829
O 0.1640 0.9145 0.7829
O 0.2513 0.6441 0.9310
O 0.2513 0.8559 0.4310
O 0.3561 0.1939 0.5440
O 0.3561 0.3061 0.0440
O 0.4799 0.0824 0.3084
O 0.4799 0.4176 0.8084
O 0.4912 0.6172 0.6005
O 0.4912 0.8828 0.1005
O 0.5088 0.1172 0.8995
O 0.5088 0.3828 0.3995
O 0.5201 0.5824 0.1916
O 0.5201 0.9176 0.6916
O 0.6439 0.6939 0.9560
O 0.6439 0.8061 0.4560
O 0.7487 0.1441 0.5690
O 0.7487 0.3559 0.0690
O 0.8360 0.0855 0.2171
O 0.8360 0.4145 0.7171
O 0.8719 0.7341 0.8023
O 0.8719 0.7659 0.3023
O 0.9299 0.1347 0.8828
O 0.9299 0.3653 0.3828

Largest 10 diffraction maxima, in order of falling intensity, 5 to 70 degrees two-theta:
2θ (°)	d/Å	intensity
27.74	3.216	100
27.33	3.263	72
28.03	3.183	68
32.32	2.770	60
19.53	4.546	33
21.15	4.201	32
32.21	2.779	19
29.09	3.070	19
33.84	2.649	18
39.89	2.260	15

* * * * *

Computed PXRD pattern of PmU3Tl2O12 for Cu Kα, 1.54184 Å, from the GGA-PBE geometry in Alexandria.

Atomic structure:
a b c (Å): 8.063 8.063 8.063
angles (deg): 60.89 60.89 60.89
Atoms (fractional coordinates):
Pm: 0.000 0.000 0.000
U: 0.000 0.000 0.500
'''
## Here the entry continues

Love in the Old Millennium

Crow and Heron, or Young Lovers Walking Together under an Umbrella in a Snowstorm, ca. 1769.  Suzuki Harunobu (Japanese, 1725–1770; Polychrome woodcut print on paper). Image Source: Metropolitan Museum of Art.

Time and romance: a topic of reverie, memory and contemplation. In another post, I mentioned a quote from the film, Crimes and Misdemeanors:
"You will notice that what we are aiming at when we fall in love is a very strange paradox. The paradox consists of the fact that, when we fall in love, we are seeking to re-find all or some of the people to whom we were attached as children. On the other hand, we ask our beloved to correct all of the wrongs that these early parents or siblings inflicted upon us. So that love contains in it the contradiction: The attempt to return to the past and the attempt to undo the past."
For love's paradox with the past, here are some words from one of the greatest modern Japanese poets, Kitahara Hakushū (pen-name of Kitahara Ryūkichi, born 5 January, 1885; died 2 November, 1942).  There is a review of a recent book about him, here (Hat tip: Michael Steger).  The review has a translation of one of Kitahara's tanka poems, which are masterworks of simplicity:

Tsume no urumi ni
Ochishi miruku mo
Natsukashi to minu
The drop of milk
Which had fallen
On the light red polish
Of her nails
Made me yearn for the past

Wednesday, February 22, 2012

Super Cool Nano Quadrators

A quadrator robot. Image Source: Robot Space Brain.

Below the jump, a great video of small nano quadrator robots flying in formation, courtesy of the University of Pennsylvania's GRASP lab (Hat tip: Slate via i09).  They remind me of something organic - a school of fish or flock of birds - but they reminded i09 of a 1980s' retro video game.

Tuesday, February 21, 2012

Millennial Mysteries: Dead Birds, Dead Birds, Dead Birds ...

Dead birds found on Feb. 20 at the University of Texas at Arlington. Image Source: The Shorthorn.

Curiouser and curiouser.  This week, three reports are circulating about dead birds: one from Maryland, one from Pennsylvania, and one from Texas.  Unlike earlier cases, two of these incidents now involve ritualistic aspects, just in time for Shrove Tuesday or Mardi Gras.

Happy Tibetan New Year!

2012 will cross cultures: A Czech Tibetan Buddhist New Year's card. Image Source: Brozkeff's Mandala.

Also known as Losar, the Tibetan Buddhist New Year festival is celebrated for 15 days, starting on the first day with drinking a kind of beer called chhaang. The holiday is celebrated in Tibet, Nepal and India and has pre-Buddhist origins. These origins reflect yet another the ancient connection between astronomy, astrology, and the way we measure time. Wiki: "The festival is said to have begun when an old woman named Belma introduced the measurement of time based on the phases of the moon. ... Later when the rudiments of astrology, based on the five elements, were introduced in Tibet, this farmer's festival became what we now call the Losar or New Year's festival." This is the year of the Male Water Dragon and the year is 2139 by the Tibetan count.

Monday, February 20, 2012

Photo of the Day: The Long Road Home

Image Source: The Atlantic.

In the 2010 movie, Repeaters, the characters get trapped in a time loop.  One of the film's commenters on the IMDB suggested that their predicament was a metaphor for post-traumatic stress, and the purgatorial relationship with time that it inflicts upon its sufferers, wherein they relive experiences over and over (see the trailer here).  The photo above is perhaps a related example of the so-called thousand-yard stare.  It is a photograph of an American Marine in Afghanistan from January 2012, but it made me immediately think of the experiences of the British military in the same region, recounted in Kipling's Plain Tales from the Hills, stories which were originally published in the Civil and Military Gazette.  This photograph could have been taken yesterday, or 120 years ago. From The Atlantic: "Men of 1st Battalion, 6th Marine Regiment, during an operation near the end of their third deployment in three years in Afghanistan. They were securing route 611, which runs Kajaki Sofla, an area that had long been a safe haven for insurgent sub-commanders and for arms and drug trafficking. (Cpl. James Clark/USMC)" Other photos from Afghanistan are here.

Sunday, February 19, 2012

Calling all Chronomancers

 Image Source: TV Tropes.

Millennial Aporia - the collapse and evolution of values - may reflect an antagonistic attitude toward time, an attitude we must resolve. In a blog post earlier this month, Tara Mohr quoted the late Irish priest and poet, John O’Donahue, who said: “One of the biggest problems of modern life is that time has become the enemy.” Mohr argued that there is something extremely disturbing about our war with time.  To exist in conflict with time, she says, is to be in conflict with ourselves.  Since time shapes human consciousness, Mohr believes we should revise our current view of the passage of time.